Data:
┌──
5
Properties=species:S:1:pos:R:3:forces:R:3 method="wB97M-V/def2-TZVPD" orbital_gap_ev=12.70 charge=0 mol_weight_g_mol=63.49 largest_force_ha_per_bohr=0.041 smiles=C#N.Cl
C -1.588686 -0.205930 -0.190935 -0.534 0.436 0.472
N -2.685118 -0.002241 -0.435366 -0.413 -0.149 -0.458
Cl 2.089242 -0.083059 -0.298574 1.167 0.939 1.494
H -0.639400 -0.236151 0.253034 0.931 -0.283 -0.015
H 2.823960 0.527382 0.671839 -1.151 -0.943 -1.493
└──

Wanted:
What is needed: print the material earlier on from the first line to the one with "-0.283 -0.015" without additions.

Outcome:
5
Properties=species:S:1:pos:R:3:forces:R:3 method="wB97M-V/def2-TZVPD" orbital_gap_ev=12.70 charge=0 mol_weight_g_mol=63.49 largest_force_ha_per_bohr=0.041 smiles=C#N.Cl
C -1.588686 -0.205930 -0.190935 -0.534 0.436 0.472
N -2.685118 -0.002241 -0.435366 -0.413 -0.149 -0.458
Cl 2.089242 -0.083059 -0.298574 1.167 0.939 1.494
H -0.639400 -0.236151 0.253034 0.931 -0.283 -0.015